**To do:**
Write out the whole of the listing underneath without altering anything, please.

**Contents:**
<<<
*i*
First-principles (PBE-GGA) data for an optimized crystal structure of ThTlPb, as listed in Alexandria via LeMat-Bulk.

abc: 5.434 5.434 3.504
angles: 90.00 90.00 120.00
Fractional positions:
1 Th 0.000 0.000 0.000
2 Tl 0.333 0.667 0.392
3 Pb 0.667 0.333 0.590

Results
Symmetry: P3m1 (156)
Volume, Å³ per cell: 89.61


*ii*
First-principles (PBE-GGA) data for an optimized crystal structure of ThTlPb, as listed in Alexandria via LeMat-Bulk.

abc: 8.741 8.741 4.566
angles: 90.00 90.00 148.98
Fractional positions:
1 Th 0.093 0.907 0.750
2 Th 0.907 0.093 0.250
3 Tl 0.251 0.749 0.250
4 Tl 0.749 0.251 0.750
5 Pb 0.427 0.573 0.750
6 Pb 0.573 0.427 0.250

Results
Symmetry: Cmcm (63)
Volume, Å³ per cell: 179.77


Stability order, top to bottom: *ii*, *i*


*i*
First-principles (PBE-GGA) data for an optimized crystal structure of TmTh2Pb3, as listed in Alexandria via LeMat-Bulk.

abc: 6.558 6.558 8.795
angles: 100.43 100.43 91.86
Fractional positions:
1 Tm 0.074 0.926 0.750
2 Tm 0.926 0.074 0.250
3 Th 0.173 0.594 0.374
4 Th 0.406 0.827 0.126
5 Th 0.594 0.173 0.874
6 Th 0.827 0.406 0.626
7 Pb 0.135 0.298 0.012
8 Pb 0.298 0.135 0.512
9 Pb 0.393 0.607 0.750
10 Pb 0.607 0.393 0.250
11 Pb 0.702 0.865 0.488
12 Pb 0.865 0.702 0.988

Results
Symmetry: C2/c (15)
Volume, Å³ per cell: 364.98


*ii*
First-principles (PBE-GGA) data for an optimized crystal structure of TmTh2Pb3, as listed in Alexandria via LeMat-Bulk.

abc: 7.883 7.883 4.549
angles: 90.00 90.00 141.58
Fractional positions:
1 Tm 0.000 0.000 0.000
2 Th 0.334 0.666 0.000
3 Th 0.666 0.334 0.000
4 Pb 0.162 0.838 0.500
5 Pb 0.500 0.500 0.500
6 Pb 0.838 0.162 0.500

Results
Symmetry: Cmmm (65)
Volume, Å³ per cell: 175.66


Stability order, top to bottom: *ii*, *i*


*i*
First-principles (PBE-GGA) data for an optimized crystal structure of Tm4ThPb5, as listed in Alexandria via LeMat-Bulk.

abc: 7.692 7.692 7.692
angles: 99.65 99.65 131.66
Fractional positions:
1 Tm 0.105 0.296 0.400
2 Tm 0.296 0.895 0.191
3 Tm 0.704 0.105 0.809
4 Tm 0.895 0.704 0.600
5 Th 0.501 0.501 0.000
6 Pb 0.001 0.001 0.000
7 Pb 0.191 0.598 0.789
8 Pb 0.402 0.191 0.592
9 Pb 0.598 0.809 0.408
10 Pb 0.809 0.402 0.211

Results
Symmetry: I4 (79)
Volume, Å³ per cell: 310.22


*ii*
First-principles (PBE-GGA) data for an optimized crystal structure of Tm4ThPb5, as listed in Alexandria via LeMat-Bulk.

abc: 3.548 3.548 22.234
angles: 90.00 90.00 90.00
Fractional positions:
1 Tm 0.000 0.000 0.098
2 Tm 0.000 0.000 0.296
3 Tm 0.000 0.000 0.704
4 Tm 0.000 0.000 0.902
5 Th 0.000 0.000 0.500
6 Pb 0.500 0.500 0.000
7 Pb 0.500 0.500 0.197
8 Pb 0.500 0.500 0.393
9 Pb 0.500 0.500 0.607
10 Pb 0.500 0.500 0.803

Results
Symmetry: P4/mmm (123)
Volume, Å³ per cell: 279.90


Stability order, top to bottom: *ii*, *i*


*i*
First-principles (PBE-GGA) data for an optimized crystal structure of Y2ThPb, as listed in Alexandria via LeMat-Bulk.

abc: 12.115 12.115 12.115
angles: 16.96 16.96 16.96
Fractional positions:
1 Y 0.089 0.089 0.089
2 Y 0.911 0.911 0.911
3 Th 0.500 0.500 0.500
4 Pb 0.000 0.000 0.000

Results
Symmetry: R-3m (166)
Volume, Å³ per cell: 131.97


*ii*
First-principles (PBE-GGA) data for an optimized crystal structure of Y2ThPb, as listed in Alexandria via LeMat-Bulk.

abc: 4.982 4.982 4.763
angles: 90.00 90.00 90.00
Fractional positions:
1 Y 0.000 0.500 0.000
2 Y 0.500 0.000 0.000
3 Th 0.000 0.000 0.500
4 Pb 0.500 0.500 0.500

Results
Symmetry: P4/mmm (123)
Volume, Å³ per cell: 118.22


*iii*
First-principles (PBE-GGA) data for an optimized crystal structure of Y2ThPb, as listed in Alexandria via LeMat-Bulk.

abc: 3.593 3.593 11.220
angles: 99.17 99.17 60.02
Fractional positions:
1 Y 0.000 0.000 0.000
2 Y 0.174 0.174 0.524
3 Th 0.420 0.420 0.262
4 Pb 0.587 0.587 0.762

Results
Symmetry: Cm (8)
Volume, Å³ per cell: 123.35


Stability order, top to bottom: *ii*, *iii*, *i*


*i*
First-principles (PBE-GGA) data for an optimized crystal structure of Th2ZnPb, as listed in Alexandria via LeMat-Bulk.

abc: 6.340 4.277 8.936
>>>

**Done:**
*i*
First-principles (PBE-GGA) data for an optimized crystal structure of ThTlPb, as listed in Alexandria via LeMat-Bulk.

abc: 5.434 5.434 3.504
angles: 90.00 90.00 120.00
Fractional positions:
1 Th 0.000 0.000 0.000
2 Tl 0.333 0.667 0.392
3 Pb 0.667 0.333 0.590

Results
Symmetry: P3m1 (156)
Volume, Å³ per cell: 89.61


*ii*
First-principles (PBE-GGA) data for an optimized crystal structure of ThTlPb, as listed in Alexandria via LeMat-Bulk.

abc: 8.741 8.741 4.566
angles: 90.00 90.00 148.98
Fractional positions:
1 Th 0.093 0.907 0.750
2 Th 0.907 0.093 0.250
3 Tl 0.251 0.749 0.250
4 Tl 0.749 0.251 0.750
5 Pb 0.427 0.573 0.750
6 Pb 0.573 0.427 0.250

Results
Symmetry: Cmcm (63)
Volume, Å³ per cell: 179.77


Stability order, top to bottom: *ii*, *i*


*i*
First-principles (PBE-GGA) data for an optimized crystal structure of TmTh2Pb3, as listed in Alexandria via LeMat-Bulk.

abc: 6.558 6.558 8.795
angles: 100.43 100.43 91.86
Fractional positions:
1 Tm 0.074 0.926 0.750
2 Tm 0.926 0.074 0.250
3 Th 0.173 0.594 0.374
4 Th 0.406 0.827 0.126
5 Th 0.594 0.173 0.874
6 Th 0.827 0.406 0.626
7 Pb 0.135 0.298 0.012
8 Pb 0.298 0.135 0.512
9 Pb 0.393 0.607 0.750
10 Pb 0.607 0.393 0.250
11 Pb 0.702 0.865 0.488
12 Pb 0.865 0.702 0.988

Results
Symmetry: C2/c (15)
Volume, Å³ per cell: 364.98


*ii*
First-principles (PBE-GGA) data for an optimized crystal structure of TmTh2Pb3, as listed in Alexandria via LeMat-Bulk.

abc: 7.883 7.883 4.549
angles: 90.00 90.00 141.58
Fractional positions:
1 Tm 0.000 0.000 0.000
2 Th 0.334 0.666 0.000
3 Th 0.666 0.334 0.000
4 Pb 0.162 0.838 0.500
5 Pb 0.500 0.500 0.500
6 Pb 0.838 0.162 0.500

Results
Symmetry: Cmmm (65)
Volume, Å³ per cell: 175.66


Stability order, top to bottom: *ii*, *i*


*i*
First-principles (PBE-GGA) data for an optimized crystal structure of Tm4ThPb5, as listed in Alexandria via LeMat-Bulk.

abc: 7.692 7.692 7.692
angles: 99.65 99.65 131.66
Fractional positions:
1 Tm 0.105 0.296 0.400
2 Tm 0.296 0.895 0.191
3 Tm 0.704 0.105 0.809
4 Tm 0.895 0.704 0.600
5 Th 0.501 0.501 0.000
6 Pb 0.001 0.001 0.000
7 Pb 0.191 0.598 0.789
8 Pb 0.402 0.191 0.592
9 Pb 0.598 0.809 0.408
10 Pb 0.809 0.402 0.211

Results
Symmetry: I4 (79)
Volume, Å³ per cell: 310.22


*ii*
First-principles (PBE-GGA) data for an optimized crystal structure of Tm4ThPb5, as listed in Alexandria via LeMat-Bulk.

abc: 3.548 3.548 22.234
angles: 90.00 90.00 90.00
Fractional positions:
1 Tm 0.000 0.000 0.098
2 Tm 0.000 0.000 0.296
3 Tm 0.000 0.000 0.704
4 Tm 0.000 0.000 0.902
5 Th 0.000 0.000 0.500
6 Pb 0.500 0.500 0.000
7 Pb 0.500 0.500 0.197
8 Pb 0.500 0.500 0.393
9 Pb 0.500 0.500 0.607
10 Pb 0.500 0.500 0.803

Results
Symmetry: P4/mmm (123)
Volume, Å³ per cell: 279.90


Stability order, top to bottom: *ii*, *i*


*i*
First-principles (PBE-GGA) data for an optimized crystal structure of Y2ThPb, as listed in Alexandria via LeMat-Bulk.

abc: 12.115 12.115 12.115
angles: 16.96 16.96 16.96
Fractional positions:
1 Y 0.089 0.089 0.089
2 Y 0.911 0.911 0.911
3 Th 0.500 0.500 0.500
4 Pb 0.000 0.000 0.000

Results
Symmetry: R-3m (166)
Volume, Å³ per cell: 131.97


*ii*
First-principles (PBE-GGA) data for an optimized crystal structure of Y2ThPb, as listed in Alexandria via LeMat-Bulk.

abc: 4.982 4.982 4.763
angles: 90.00 90.00 90.00
Fractional positions:
1 Y 0.000 0.500 0.000
2 Y 0.500 0.000 0.000
3 Th 0.000 0.000 0.500
4 Pb 0.500 0.500 0.500

Results
Symmetry: P4/mmm (123)
Volume, Å³ per cell: 118.22


*iii*
First-principles (PBE-GGA) data for an optimized crystal structure of Y2ThPb, as listed in Alexandria via LeMat-Bulk.

abc: 3.593 3.593 11.220
angles: 99.17 99.17 60.02
Fractional positions:
1 Y 0.000 0.000 0.000
2 Y 0.174 0.174 0.524
3 Th 0.420 0.420 0.262
4 Pb 0.587 0.587 0.762

Results
Symmetry: Cm (8)
Volume, Å³ per cell: 123.35


Stability order, top to bottom: *ii*, *iii*, *i*


*i*
First-principles (PBE-GGA) data for an optimized crystal structure of Th2ZnPb, as listed in Alexandria via LeMat-Bulk.

abc: 6.340 4.277 8.936